-- What to do --
The reader should copy the data underneath without additions.

-- Contents --
- - -
[1]
204
Properties=species:S:1:pos:R:3 method="wB97M-V/def2-TZVPD" e_tot_ev=-130111.46109 orbital_gap_ha=0.289 homo_energy_ev=-7.6653
C -3.6182 -3.0834 -4.4659
C -4.7349 -3.8287 -4.0728
C -4.5695 -4.9668 -3.3536
C -3.3097 -5.4109 -2.9402
C -2.1318 -4.7201 -3.3667
C -2.3504 -3.5758 -4.1803
O -1.2709 -2.8045 -4.6000
O -5.6931 -5.5600 -2.8572
H -3.7871 -2.1903 -4.9978
H -5.7098 -3.4120 -4.3434
H -3.2966 -6.2497 -2.2810
H -1.0566 -5.0813 -3.3378
H -0.4105 -3.2631 -4.3723
H -5.6825 -6.5185 -2.8617
C 8.2032 -1.4438 1.7773
C 7.5329 -0.2459 1.4610
C 7.8693 0.4803 0.3234
C 8.9123 -0.0024 -0.4630
C 9.6090 -1.1390 -0.1705
C 9.2938 -1.8369 1.0012
O 9.9806 -2.9204 1.4047
O 7.1515 1.5808 -0.0089
H 7.9090 -2.1055 2.6059
H 6.7538 0.0394 2.1759
H 9.2392 0.5239 -1.3497
H 10.3642 -1.5240 -0.8503
H 10.6341 -3.1149 0.6794
H 6.2636 1.5968 0.3966
C 1.0267 -1.1122 -1.6099
C -0.3353 -1.1367 -1.5306
C -1.0365 -0.1886 -0.8784
C -0.3545 0.8234 -0.1594
C 1.0400 0.7401 -0.1880
C 1.7448 -0.2161 -0.8742
O 3.0866 -0.2402 -0.8346
O -2.4214 -0.1711 -0.9307
H 1.5501 -1.7671 -2.2889
H -0.9203 -1.8583 -2.0771
H -0.9746 1.6435 0.1627
H 1.6592 1.4304 0.3630
H 3.4171 -1.0977 -1.0923
H -2.6681 0.7561 -0.7737
C 0.1702 1.9352 3.9779
C 0.3475 0.6794 4.3739
C 0.9266 0.3717 5.5905
C 1.1039 1.3943 6.4573
C 0.8389 2.7463 6.1257
C 0.3777 3.0000 4.8514
O 0.0828 4.2208 4.4174
O 1.2182 -0.9300 5.9847
H -0.2111 2.1401 2.9687
H 0.1993 -0.1731 3.6638
H 1.3921 1.1650 7.4726
H 0.8583 3.5336 6.9102
H 0.2229 4.8375 5.1407
H 0.6418 -1.6186 5.5800
C -6.5209 -0.1864 -3.1721
C -5.4212 -0.6968 -2.5619
C -5.5453 -1.7016 -1.5307
C -6.8316 -2.0872 -1.2197
C -7.9754 -1.5196 -1.8348
C -7.8372 -0.6329 -2.8427
O -8.8813 -0.0227 -3.4374
O -4.4100 -2.2169 -0.9954
H -6.3843 0.5403 -3.9880
H -4.4046 -0.3395 -2.8857
H -6.8881 -2.7283 -0.3461
H -8.9615 -1.6719 -1.4385
H -9.6681 -0.5882 -3.4794
H -3.7040 -1.6194 -1.2188
C 0.2840 4.2141 -1.1626
C 0.3145 3.6026 -2.3653
C 0.6489 4.3693 -3.5253
C 1.1019 5.6718 -3.3884
C 1.2492 6.1833 -2.0846
C 0.7334 5.5222 -1.0076
O 0.8895 6.0383 0.2698
O 0.5987 3.7101 -4.7358
H -0.0770 3.7266 -0.2615
H 0.0236 2.5438 -2.4688
H 1.4832 6.3333 -4.1851
H 1.7127 7.1754 -1.8675
H 1.3846 6.8572 0.0981
H 0.7314 4.3131 -5.4576
C -2.3680 4.6411 2.0033
C -3.7711 4.9421 2.0855
O -4.3395 5.9551 1.7066
N -4.4640 3.9025 2.6603
C -5.8911 3.9941 2.9789
H -2.0670 4.7625 0.9963
H -2.1209 3.6742 2.4443
H -1.9010 5.4426 2.5994
H -4.0208 3.0453 2.8967
H -6.0682 4.6890 3.7868
H -6.2580 2.9840 3.2392
H -6.4248 4.2832 2.0653
C -3.6710 2.1961 -6.2404
C -3.1656 0.7778 -6.3739
O -3.6255 0.0651 -7.2826
N -2.0933 0.4291 -5.6225
C -1.6538 1.0134 -4.3214
H -3.1012 2.9522 -5.6237
H -4.6438 2.1348 -5.7207
H -3.8415 2.4540 -7.3021
H -1.7842 -0.5322 -5.7589
H -1.1903 2.0184 -4.4170
H -0.9167 0.3346 -3.8281
H -2.5072 1.0961 -3.6228
C 3.2900 -4.8760 -4.0813
C 2.2780 -3.7572 -4.2330
O 1.0785 -3.9533 -3.9398
N 2.7528 -2.6569 -4.8244
C 1.9286 -1.6191 -5.3080
H 3.3255 -5.3365 -5.0658
H 2.9509 -5.5763 -3.3561
H 4.3427 -4.6522 -3.8434
H 3.7577 -2.5429 -4.7769
H 2.3694 -0.6349 -5.3362
H 1.0162 -1.6182 -4.7500
H 1.6273 -1.8870 -6.3548
C 5.9878 -3.6456 0.0777
C 5.6876 -2.7416 -1.1385
O 4.5315 -2.7334 -1.6292
N 6.7189 -2.0286 -1.6071
C 6.5730 -1.3760 -2.9463
H 6.6446 -4.4712 -0.1177
H 5.0728 -4.0030 0.5466
H 6.5146 -3.1490 0.9347
H 7.6142 -2.0995 -1.1568
H 7.2017 -2.0066 -3.5802
H 6.9395 -0.3511 -2.8651
H 5.5240 -1.4320 -3.2297
C -5.2025 2.1718 -0.2398
C -4.0401 2.9398 -0.7442
O -2.9099 2.4720 -0.9140
N -4.3382 4.2290 -1.0987
C -3.4252 5.0985 -1.7371
H -4.9259 1.6962 0.7207
H -5.4917 1.3624 -0.9514
H -6.1512 2.7261 -0.0540
H -5.2364 4.5886 -0.9673
H -2.9720 5.8592 -1.0531
H -3.8838 5.6880 -2.5785
H -2.5934 4.5654 -2.1862
C -2.8024 -0.1893 2.5718
C -3.0148 0.3495 3.9553
O -3.6314 1.4035 4.1821
N -2.6748 -0.5945 4.9381
C -2.4956 -0.2109 6.3717
H -3.0173 0.6312 1.8534
H -3.4920 -1.0117 2.3837
H -1.7637 -0.4729 2.4457
H -1.9170 -1.1889 4.6552
H -2.3173 -1.0836 7.0321
H -3.3457 0.4061 6.6865
H -1.6443 0.4449 6.4044
- - -

-- Response --
[1]
204
Properties=species:S:1:pos:R:3 method="wB97M-V/def2-TZVPD" e_tot_ev=-130111.46109 orbital_gap_ha=0.289 homo_energy_ev=-7.6653
C -3.6182 -3.0834 -4.4659
C -4.7349 -3.8287 -4.0728
C -4.5695 -4.9668 -3.3536
C -3.3097 -5.4109 -2.9402
C -2.1318 -4.7201 -3.3667
C -2.3504 -3.5758 -4.1803
O -1.2709 -2.8045 -4.6000
O -5.6931 -5.5600 -2.8572
H -3.7871 -2.1903 -4.9978
H -5.7098 -3.4120 -4.3434
H -3.2966 -6.2497 -2.2810
H -1.0566 -5.0813 -3.3378
H -0.4105 -3.2631 -4.3723
H -5.6825 -6.5185 -2.8617
C 8.2032 -1.4438 1.7773
C 7.5329 -0.2459 1.4610
C 7.8693 0.4803 0.3234
C 8.9123 -0.0024 -0.4630
C 9.6090 -1.1390 -0.1705
C 9.2938 -1.8369 1.0012
O 9.9806 -2.9204 1.4047
O 7.1515 1.5808 -0.0089
H 7.9090 -2.1055 2.6059
H 6.7538 0.0394 2.1759
H 9.2392 0.5239 -1.3497
H 10.3642 -1.5240 -0.8503
H 10.6341 -3.1149 0.6794
H 6.2636 1.5968 0.3966
C 1.0267 -1.1122 -1.6099
C -0.3353 -1.1367 -1.5306
C -1.0365 -0.1886 -0.8784
C -0.3545 0.8234 -0.1594
C 1.0400 0.7401 -0.1880
C 1.7448 -0.2161 -0.8742
O 3.0866 -0.2402 -0.8346
O -2.4214 -0.1711 -0.9307
H 1.5501 -1.7671 -2.2889
H -0.9203 -1.8583 -2.0771
H -0.9746 1.6435 0.1627
H 1.6592 1.4304 0.3630
H 3.4171 -1.0977 -1.0923
H -2.6681 0.7561 -0.7737
C 0.1702 1.9352 3.9779
C 0.3475 0.6794 4.3739
C 0.9266 0.3717 5.5905
C 1.1039 1.3943 6.4573
C 0.8389 2.7463 6.1257
C 0.3777 3.0000 4.8514
O 0.0828 4.2208 4.4174
O 1.2182 -0.9300 5.9847
H -0.2111 2.1401 2.9687
H 0.1993 -0.1731 3.6638
H 1.3921 1.1650 7.4726
H 0.8583 3.5336 6.9102
H 0.2229 4.8375 5.1407
H 0.6418 -1.6186 5.5800
C -6.5209 -0.1864 -3.1721
C -5.4212 -0.6968 -2.5619
C -5.5453 -1.7016 -1.5307
C -6.8316 -2.0872 -1.2197
C -7.9754 -1.5196 -1.8348
C -7.8372 -0.6329 -2.8427
O -8.8813 -0.0227 -3.4374
O -4.4100 -2.2169 -0.9954
H -6.3843 0.5403 -3.9880
H -4.4046 -0.3395 -2.8857
H -6.8881 -2.7283 -0.3461
H -8.9615 -1.6719 -1.4385
H -9.6681 -0.5882 -3.4794
H -3.7040 -1.6194 -1.2188
C 0.2840 4.2141 -1.1626
C 0.3145 3.6026 -2.3653
C 0.6489 4.3693 -3.5253
C 1.1019 5.6718 -3.3884
C 1.2492 6.1833 -2.0846
C 0.7334 5.5222 -1.0076
O 0.8895 6.0383 0.2698
O 0.5987 3.7101 -4.7358
H -0.0770 3.7266 -0.2615
H 0.0236 2.5438 -2.4688
H 1.4832 6.3333 -4.1851
H 1.7127 7.1754 -1.8675
H 1.3846 6.8572 0.0981
H 0.7314 4.3131 -5.4576
C -2.3680 4.6411 2.0033
C -3.7711 4.9421 2.0855
O -4.3395 5.9551 1.7066
N -4.4640 3.9025 2.6603
C -5.8911 3.9941 2.9789
H -2.0670 4.7625 0.9963
H -2.1209 3.6742 2.4443
H -1.9010 5.4426 2.5994
H -4.0208 3.0453 2.8967
H -6.0682 4.6890 3.7868
H -6.2580 2.9840 3.2392
H -6.4248 4.2832 2.0653
C -3.6710 2.1961 -6.2404
C -3.1656 0.7778 -6.3739
O -3.6255 0.0651 -7.2826
N -2.0933 0.4291 -5.6225
C -1.6538 1.0134 -4.3214
H -3.1012 2.9522 -5.6237
H -4.6438 2.1348 -5.7207
H -3.8415 2.4540 -7.3021
H -1.7842 -0.5322 -5.7589
H -1.1903 2.0184 -4.4170
H -0.9167 0.3346 -3.8281
H -2.5072 1.0961 -3.6228
C 3.2900 -4.8760 -4.0813
C 2.2780 -3.7572 -4.2330
O 1.0785 -3.9533 -3.9398
N 2.7528 -2.6569 -4.8244
C 1.9286 -1.6191 -5.3080
H 3.3255 -5.3365 -5.0658
H 2.9509 -5.5763 -3.3561
H 4.3427 -4.6522 -3.8434
H 3.7577 -2.5429 -4.7769
H 2.3694 -0.6349 -5.3362
H 1.0162 -1.6182 -4.7500
H 1.6273 -1.8870 -6.3548
C 5.9878 -3.6456 0.0777
C 5.6876 -2.7416 -1.1385
O 4.5315 -2.7334 -1.6292
N 6.7189 -2.0286 -1.6071
C 6.5730 -1.3760 -2.9463
H 6.6446 -4.4712 -0.1177
H 5.0728 -4.0030 0.5466
H 6.5146 -3.1490 0.9347
H 7.6142 -2.0995 -1.1568
H 7.2017 -2.0066 -3.5802
H 6.9395 -0.3511 -2.8651
H 5.5240 -1.4320 -3.2297
C -5.2025 2.1718 -0.2398
C -4.0401 2.9398 -0.7442
O -2.9099 2.4720 -0.9140
N -4.3382 4.2290 -1.0987
C -3.4252 5.0985 -1.7371
H -4.9259 1.6962 0.7207
H -5.4917 1.3624 -0.9514
H -6.1512 2.7261 -0.0540
H -5.2364 4.5886 -0.9673
H -2.9720 5.8592 -1.0531
H -3.8838 5.6880 -2.5785
H -2.5934 4.5654 -2.1862
C -2.8024 -0.1893 2.5718
C -3.0148 0.3495 3.9553
O -3.6314 1.4035 4.1821
N -2.6748 -0.5945 4.9381
C -2.4956 -0.2109 6.3717
H -3.0173 0.6312 1.8534
H -3.4920 -1.0117 2.3837
H -1.7637 -0.4729 2.4457
H -1.9170 -1.1889 4.6552
H -2.3173 -1.0836 7.0321
H -3.3457 0.4061 6.6865
H -1.6443 0.4449 6.4044